Please print only the lines further below with the word "As" in them.

~~~
{
  "formula": "C64H160AsF6N8O8",
  "method": "the ωB97M-V functional and the def2-TZVPD basis",
  "species": ["C", "C", "N", "C", "C", "C", "C", "C", "O", "C", "H", "H", "H", "H", "H", "H", "H", "H", "H", "H", "H", "H", "H", "H", "H", "H", "H", "H", "H", "H", "C", "C", "N", "C", "C", "C", "C", "C", "O", "C", "H", "H", "H", "H", "H", "H", "H", "H", "H", "H", "H", "H", "H", "H", "H", "H", "H", "H", "H", "H", "C", "C", "N", "C", "C", "C", "C", "C", "O", "C", "H", "H", "H", "H", "H", "H", "H", "H", "H", "H", "H", "H", "H", "H", "H", "H", "H", "H", "H", "H", "C", "C", "N", "C", "C", "C", "C", "C", "O", "C", "H", "H", "H", "H", "H", "H", "H", "H", "H", "H", "H", "H", "H", "H", "H", "H", "H", "H", "H", "H", "C", "C", "N", "C", "C", "C", "C", "C", "O", "C", "H", "H", "H", "H", "H", "H", "H", "H", "H", "H", "H", "H", "H", "H", "H", "H", "H", "H", "H", "H", "C", "C", "N", "C", "C", "C", "C", "C", "O", "C", "H", "H", "H", "H", "H", "H", "H", "H", "H", "H", "H", "H", "H", "H", "H", "H", "H", "H", "H", "H", "C", "C", "N", "C", "C", "C", "C", "C", "O", "C", "H", "H", "H", "H", "H", "H", "H", "H", "H", "H", "H", "H", "H", "H", "H", "H", "H", "H", "H", "H", "C", "C", "N", "C", "C", "C", "C", "C", "O", "C", "H", "H", "H", "H", "H", "H", "H", "H", "H", "H", "H", "H", "H", "H", "H", "H", "H", "H", "H", "H", "As", "F", "F", "F", "F", "F", "F"],
~~~

  "species": ["C", "C", "N", "C", "C", "C", "C", "C", "O", "C", "H", "H", "H", "H", "H", "H", "H", "H", "H", "H", "H", "H", "H", "H", "H", "H", "H", "H", "H", "H", "C", "C", "N", "C", "C", "C", "C", "C", "O", "C", "H", "H", "H", "H", "H", "H", "H", "H", "H", "H", "H", "H", "H", "H", "H", "H", "H", "H", "H", "H", "C", "C", "N", "C", "C", "C", "C", "C", "O", "C", "H", "H", "H", "H", "H", "H", "H", "H", "H", "H", "H", "H", "H", "H", "H", "H", "H", "H", "H", "H", "C", "C", "N", "C", "C", "C", "C", "C", "O", "C", "H", "H", "H", "H", "H", "H", "H", "H", "H", "H", "H", "H", "H", "H", "H", "H", "H", "H", "H", "H", "C", "C", "N", "C", "C", "C", "C", "C", "O", "C", "H", "H", "H", "H", "H", "H", "H", "H", "H", "H", "H", "H", "H", "H", "H", "H", "H", "H", "H", "H", "C", "C", "N", "C", "C", "C", "C", "C", "O", "C", "H", "H", "H", "H", "H", "H", "H", "H", "H", "H", "H", "H", "H", "H", "H", "H", "H", "H", "H", "H", "C", "C", "N", "C", "C", "C", "C", "C", "O", "C", "H", "H", "H", "H", "H", "H", "H", "H", "H", "H", "H", "H", "H", "H", "H", "H", "H", "H", "H", "H", "C", "C", "N", "C", "C", "C", "C", "C", "O", "C", "H", "H", "H", "H", "H", "H", "H", "H", "H", "H", "H", "H", "H", "H", "H", "H", "H", "H", "H", "H", "As", "F", "F", "F", "F", "F", "F"],